Your job: retype the lines underneath up to the one that holds "Al21 0.797", that line included.
[1]
VASP calculation (GGA-PBE) on a relaxed structure of AlF3.

```
data_AlF3
_symmetry_space_group_name_H-M 'P 4/m b m'
_symmetry_Int_Tables_number 127
_symmetry_space_group_name_Hall '-P 4 2ab'
_cell_length_a 11.630
_cell_length_b 11.630
_cell_length_c 3.641
_cell_angle_alpha 90.00
_cell_angle_beta 90.00
_cell_angle_gamma 90.00
loop_
_atom_site_label
_atom_site_fract_x
_atom_site_fract_y
_atom_site_fract_z
Al1 0.000 0.500 0.000
Al2 0.076 0.208 0.000
F1 0.000 0.345 0.000
F2 0.000 0.500 0.500
F3 0.067 0.859 0.000
F4 0.077 0.208 0.500
F5 0.215 0.285 0.000
```

---

[2]
VASP calculation (GGA-PBE) on a relaxed structure of AlF3.

```
data_AlF3
_symmetry_space_group_name_H-M 'P 1'
_symmetry_Int_Tables_number 1
_cell_length_a 3.639
_cell_length_b 5.323
_cell_length_c 5.905
_cell_angle_alpha 64.00
_cell_angle_beta 89.39
_cell_angle_gamma 89.09
loop_
_symmetry_equiv_pos_as_xyz
'x,y,z'
loop_
_atom_site_label
_atom_site_fract_x
_atom_site_fract_y
_atom_site_fract_z
Al1 0.000 0.000 0.000
Al2 0.000 0.275 0.461
F1 0.000 0.139 0.230
F2 0.000 0.638 0.231
F3 0.007 0.920 0.726
F4 0.500 0.281 0.452
F5 0.500 0.993 0.009
F6 0.993 0.355 0.735
```

---

[3]
VASP calculation (GGA-PBE) on a relaxed structure of AlF3.

```
data_AlF3
_symmetry_space_group_name_H-M 'C 1 2/c 1'
_symmetry_Int_Tables_number 15
_cell_length_a 8.761
_cell_length_b 5.106
_cell_length_c 4.981
_cell_angle_alpha 90.00
_cell_angle_beta 124.18
_cell_angle_gamma 90.00
loop_
_symmetry_equiv_pos_as_xyz
'x,y,z'
'-x,-y,-z'
'-x,y,-z+1/2'
'x,-y,z+1/2'
'x+1/2,y+1/2,z'
'-x+1/2,-y+1/2,-z'
'-x+1/2,y+1/2,-z+1/2'
'x+1/2,-y+1/2,z+1/2'
loop_
_atom_site_label
_atom_site_fract_x
_atom_site_fract_y
_atom_site_fract_z
Al1 0.250 0.250 0.000
F1 0.000 0.237 0.750
F2 0.242 0.446 0.304
```

---

[4]
VASP calculation (GGA-PBE) on a relaxed structure of AlF3.

```
data_AlF3
_symmetry_space_group_name_H-M 'C m c m'
_symmetry_Int_Tables_number 63
_symmetry_space_group_name_Hall '-C 2c 2'
_cell_length_a 7.020
_cell_length_b 12.142
_cell_length_c 7.235
_cell_angle_alpha 90.00
_cell_angle_beta 90.00
_cell_angle_gamma 90.00
loop_
_atom_site_label
_atom_site_fract_x
_atom_site_fract_y
_atom_site_fract_z
Al1 0.000 0.000 0.000
Al2 0.250 0.250 0.000
F1 0.000 0.018 0.250
F2 0.000 0.288 0.026
F3 0.184 0.105 0.520
F4 0.229 0.265 0.750
```

---

[5]
# AlF3 GGA-PBE relaxed
# Maximum piezoelectric response = 0.9 C/m2
data_AlF3
_symmetry_space_group_name_H-M 'P 1'
_symmetry_Int_Tables_number 1
_cell_length_a 3.459
_cell_length_b 4.822
_cell_length_c 5.451
_cell_angle_alpha 73.26
_cell_angle_beta 71.66
_cell_angle_gamma 69.07
loop_
_symmetry_equiv_pos_as_xyz
'x,y,z'
loop_
_atom_site_label
_atom_site_fract_x
_atom_site_fract_y
_atom_site_fract_z
Al1 0.000 0.000 0.000
Al2 0.014 0.377 0.489
F1 0.172 0.970 0.652
F2 0.183 0.281 0.183
F3 0.495 0.409 0.500
F4 0.562 0.877 0.979
F5 0.822 0.391 0.842
F6 0.912 0.789 0.328

---

[6]
VASP calculation (GGA-PBE) on a relaxed structure of AlF3.

```
data_AlF3
_symmetry_space_group_name_H-M 'P 1'
_symmetry_Int_Tables_number 1
_cell_length_a 10.207
_cell_length_b 10.745
_cell_length_c 11.068
_cell_angle_alpha 91.01
_cell_angle_beta 91.63
_cell_angle_gamma 91.21
loop_
_symmetry_equiv_pos_as_xyz
'x,y,z'
loop_
_atom_site_label
_atom_site_fract_x
_atom_site_fract_y
_atom_site_fract_z
Al1 0.000 0.000 0.000
Al2 0.006 0.660 0.538
Al3 0.079 0.932 0.699
Al4 0.131 0.661 0.313
Al5 0.186 0.299 0.950
Al6 0.222 0.210 0.643
Al7 0.233 0.346 0.268
Al8 0.263 0.594 0.861
Al9 0.287 0.825 0.077
Al10 0.425 0.037 0.573
Al11 0.429 0.718 0.492
Al12 0.456 0.448 0.629
Al13 0.469 0.200 0.308
Al14 0.484 0.845 0.851
Al15 0.507 0.310 0.916
Al16 0.561 0.998 0.148
Al17 0.577 0.682 0.197
Al18 0.705 0.687 0.672
Al19 0.776 0.003 0.584
Al20 0.789 0.201 0.837
Al21 0.797 0.324 0.338
Al22 0.852 0.719 0.123
Al23 0.883 0.011 0.285
Al24 0.897 0.296 0.626
Al25 0.924 0.502 0.869
F1 0.003 0.667 0.195
F2 0.011 0.779 0.660
F3 0.019 0.937 0.847
F4 0.022 0.561 0.401
F5 0.026 0.009 0.365
F6 0.042 0.390 0.942
F7 0.043 0.771 0.424
[1]
VASP calculation (GGA-PBE) on a relaxed structure of AlF3.

```
data_AlF3
_symmetry_space_group_name_H-M 'P 4/m b m'
_symmetry_Int_Tables_number 127
_symmetry_space_group_name_Hall '-P 4 2ab'
_cell_length_a 11.630
_cell_length_b 11.630
_cell_length_c 3.641
_cell_angle_alpha 90.00
_cell_angle_beta 90.00
_cell_angle_gamma 90.00
loop_
_atom_site_label
_atom_site_fract_x
_atom_site_fract_y
_atom_site_fract_z
Al1 0.000 0.500 0.000
Al2 0.076 0.208 0.000
F1 0.000 0.345 0.000
F2 0.000 0.500 0.500
F3 0.067 0.859 0.000
F4 0.077 0.208 0.500
F5 0.215 0.285 0.000
```

---

[2]
VASP calculation (GGA-PBE) on a relaxed structure of AlF3.

```
data_AlF3
_symmetry_space_group_name_H-M 'P 1'
_symmetry_Int_Tables_number 1
_cell_length_a 3.639
_cell_length_b 5.323
_cell_length_c 5.905
_cell_angle_alpha 64.00
_cell_angle_beta 89.39
_cell_angle_gamma 89.09
loop_
_symmetry_equiv_pos_as_xyz
'x,y,z'
loop_
_atom_site_label
_atom_site_fract_x
_atom_site_fract_y
_atom_site_fract_z
Al1 0.000 0.000 0.000
Al2 0.000 0.275 0.461
F1 0.000 0.139 0.230
F2 0.000 0.638 0.231
F3 0.007 0.920 0.726
F4 0.500 0.281 0.452
F5 0.500 0.993 0.009
F6 0.993 0.355 0.735
```

---

[3]
VASP calculation (GGA-PBE) on a relaxed structure of AlF3.

```
data_AlF3
_symmetry_space_group_name_H-M 'C 1 2/c 1'
_symmetry_Int_Tables_number 15
_cell_length_a 8.761
_cell_length_b 5.106
_cell_length_c 4.981
_cell_angle_alpha 90.00
_cell_angle_beta 124.18
_cell_angle_gamma 90.00
loop_
_symmetry_equiv_pos_as_xyz
'x,y,z'
'-x,-y,-z'
'-x,y,-z+1/2'
'x,-y,z+1/2'
'x+1/2,y+1/2,z'
'-x+1/2,-y+1/2,-z'
'-x+1/2,y+1/2,-z+1/2'
'x+1/2,-y+1/2,z+1/2'
loop_
_atom_site_label
_atom_site_fract_x
_atom_site_fract_y
_atom_site_fract_z
Al1 0.250 0.250 0.000
F1 0.000 0.237 0.750
F2 0.242 0.446 0.304
```

---

[4]
VASP calculation (GGA-PBE) on a relaxed structure of AlF3.

```
data_AlF3
_symmetry_space_group_name_H-M 'C m c m'
_symmetry_Int_Tables_number 63
_symmetry_space_group_name_Hall '-C 2c 2'
_cell_length_a 7.020
_cell_length_b 12.142
_cell_length_c 7.235
_cell_angle_alpha 90.00
_cell_angle_beta 90.00
_cell_angle_gamma 90.00
loop_
_atom_site_label
_atom_site_fract_x
_atom_site_fract_y
_atom_site_fract_z
Al1 0.000 0.000 0.000
Al2 0.250 0.250 0.000
F1 0.000 0.018 0.250
F2 0.000 0.288 0.026
F3 0.184 0.105 0.520
F4 0.229 0.265 0.750
```

---

[5]
# AlF3 GGA-PBE relaxed
# Maximum piezoelectric response = 0.9 C/m2
data_AlF3
_symmetry_space_group_name_H-M 'P 1'
_symmetry_Int_Tables_number 1
_cell_length_a 3.459
_cell_length_b 4.822
_cell_length_c 5.451
_cell_angle_alpha 73.26
_cell_angle_beta 71.66
_cell_angle_gamma 69.07
loop_
_symmetry_equiv_pos_as_xyz
'x,y,z'
loop_
_atom_site_label
_atom_site_fract_x
_atom_site_fract_y
_atom_site_fract_z
Al1 0.000 0.000 0.000
Al2 0.014 0.377 0.489
F1 0.172 0.970 0.652
F2 0.183 0.281 0.183
F3 0.495 0.409 0.500
F4 0.562 0.877 0.979
F5 0.822 0.391 0.842
F6 0.912 0.789 0.328

---

[6]
VASP calculation (GGA-PBE) on a relaxed structure of AlF3.

```
data_AlF3
_symmetry_space_group_name_H-M 'P 1'
_symmetry_Int_Tables_number 1
_cell_length_a 10.207
_cell_length_b 10.745
_cell_length_c 11.068
_cell_angle_alpha 91.01
_cell_angle_beta 91.63
_cell_angle_gamma 91.21
loop_
_symmetry_equiv_pos_as_xyz
'x,y,z'
loop_
_atom_site_label
_atom_site_fract_x
_atom_site_fract_y
_atom_site_fract_z
Al1 0.000 0.000 0.000
Al2 0.006 0.660 0.538
Al3 0.079 0.932 0.699
Al4 0.131 0.661 0.313
Al5 0.186 0.299 0.950
Al6 0.222 0.210 0.643
Al7 0.233 0.346 0.268
Al8 0.263 0.594 0.861
Al9 0.287 0.825 0.077
Al10 0.425 0.037 0.573
Al11 0.429 0.718 0.492
Al12 0.456 0.448 0.629
Al13 0.469 0.200 0.308
Al14 0.484 0.845 0.851
Al15 0.507 0.310 0.916
Al16 0.561 0.998 0.148
Al17 0.577 0.682 0.197
Al18 0.705 0.687 0.672
Al19 0.776 0.003 0.584
Al20 0.789 0.201 0.837
Al21 0.797 0.324 0.338